What is needed: say how many lines of the calculation results further down hold the word "No", as a bare number.

<<<
Record 1
Theoretical powder XRD pattern of Fe3CuAs2 for Cu Kα, 1.54184 Å, from a crystal structure in the Materials Project, relaxed with GGA-PBE.
Lines closer than 0.1° are merged.

Structural model:
Cell lengths 3.656, 3.656, 5.984 Å; angles 90.00, 90.00, 90.00 degrees
Space group P-4m2 (No. 115)
Symmetry-distinct sites (fractional):
Fe  0.000  0.000  0.000 x1
Fe  0.000  0.500  0.682 x2
Cu  0.500  0.500  0.000 x1
As  0.000  0.500  0.284 x2

Peak list (10 most intense, 10 to 90 degrees two-theta, low angle first)
- 14.80°, I 9, hkl 0 0 1
- 34.70°, I 20, hkl 1 1 0
- 37.92°, I 67, hkl 1 1 1
- 45.47°, I 25, hkl 0 0 3
- 46.42°, I 100, hkl 1 1 2
- 49.89°, I 53, hkl 2 0 0
- 69.79°, I 25, hkl 2 0 3
- 73.24°, I 16, hkl 2 2 0
- 83.50°, I 6, hkl 2 0 4
- 85.56°, I 11, hkl 3 1 1

Record 2
Theoretical powder XRD pattern of GdCuAs2 for Cu Kα, 1.54184 Å, from a crystal structure in the Materials Project, relaxed with GGA-PBE.
Lines closer than 0.1° are merged.

Structural model:
Cell lengths 3.928, 3.928, 9.924 Å; angles 90.00, 90.00, 90.00 degrees
Space group P4/nmm (No. 129, origin choice 2)
Symmetry-distinct sites (fractional):
Gd  0.250  0.250  0.238 x2
Cu  0.250  0.750  0.500 x2
As  0.250  0.250  0.658 x2
As  0.250  0.750  0.000 x2

Peak list (10 most intense, 10 to 90 degrees two-theta, low angle first)
- 24.37°, I 22, hkl 1 0 1
- 28.99°, I 16, hkl 1 0 2
- 35.48°, I 28, hkl 1 0 3
- 36.21°, I 14, hkl 0 0 4
- 37.10°, I 100, hkl 1 1 2
- 46.23°, I 35, hkl 2 0 0
- 51.60°, I 17, hkl 1 0 5
- 60.09°, I 13, hkl 2 0 4
- 71.76°, I 13, hkl 2 1 5
- 79.56°, I 21, hkl 3 1 2

Record 3
Theoretical powder XRD pattern of TiCuGeAs for Cu Kα, 1.54184 Å, from a crystal structure in the Materials Project, relaxed with GGA-PBE.
Lines closer than 0.1° are merged.

Structural model:
Cell lengths 3.646, 3.646, 9.261 Å; angles 90.00, 90.00, 90.00 degrees
Space group P4/nmm (No. 129, origin choice 2)
Symmetry-distinct sites (fractional):
Ti  0.250  0.250  0.224 x2
Cu  0.250  0.750  0.500 x2
Ge  0.250  0.750  0.000 x2
As  0.250  0.250  0.688 x2

Peak list (10 most intense, 10 to 90 degrees two-theta, low angle first)
- 31.22°, I 16, hkl 1 0 2
- 38.90°, I 15, hkl 0 0 4
- 40.03°, I 100, hkl 1 1 2
- 46.46°, I 12, hkl 1 0 4
- 50.03°, I 31, hkl 2 0 0
- 53.17°, I 8, hkl 1 1 4
- 65.13°, I 12, hkl 2 0 4
- 70.66°, I 7, hkl 2 1 4
- 73.46°, I 9, hkl 2 2 0
- 87.11°, I 19, hkl 3 1 2

Copy entry 2 word for word.
Theoretical powder XRD pattern of GdCuAs2 for Cu Kα, 1.54184 Å, from a crystal structure in the Materials Project, relaxed with GGA-PBE.
Lines closer than 0.1° are merged.

Structural model:
Cell lengths 3.928, 3.928, 9.924 Å; angles 90.00, 90.00, 90.00 degrees
Space group P4/nmm (No. 129, origin choice 2)
Symmetry-distinct sites (fractional):
Gd  0.250  0.250  0.238 x2
Cu  0.250  0.750  0.500 x2
As  0.250  0.250  0.658 x2
As  0.250  0.750  0.000 x2

Peak list (10 most intense, 10 to 90 degrees two-theta, low angle first)
- 24.37°, I 22, hkl 1 0 1
- 28.99°, I 16, hkl 1 0 2
- 35.48°, I 28, hkl 1 0 3
- 36.21°, I 14, hkl 0 0 4
- 37.10°, I 100, hkl 1 1 2
- 46.23°, I 35, hkl 2 0 0
- 51.60°, I 17, hkl 1 0 5
- 60.09°, I 13, hkl 2 0 4
- 71.76°, I 13, hkl 2 1 5
- 79.56°, I 21, hkl 3 1 2

Copy entry 1 word for word.
Theoretical powder XRD pattern of Fe3CuAs2 for Cu Kα, 1.54184 Å, from a crystal structure in the Materials Project, relaxed with GGA-PBE.
Lines closer than 0.1° are merged.

Structural model:
Cell lengths 3.656, 3.656, 5.984 Å; angles 90.00, 90.00, 90.00 degrees
Space group P-4m2 (No. 115)
Symmetry-distinct sites (fractional):
Fe  0.000  0.000  0.000 x1
Fe  0.000  0.500  0.682 x2
Cu  0.500  0.500  0.000 x1
As  0.000  0.500  0.284 x2

Peak list (10 most intense, 10 to 90 degrees two-theta, low angle first)
- 14.80°, I 9, hkl 0 0 1
- 34.70°, I 20, hkl 1 1 0
- 37.92°, I 67, hkl 1 1 1
- 45.47°, I 25, hkl 0 0 3
- 46.42°, I 100, hkl 1 1 2
- 49.89°, I 53, hkl 2 0 0
- 69.79°, I 25, hkl 2 0 3
- 73.24°, I 16, hkl 2 2 0
- 83.50°, I 6, hkl 2 0 4
- 85.56°, I 11, hkl 3 1 1

=====
>>>

5